**Request**
The reader should write out the lines further down up to the one that holds "18.525", that line included.
**Listing**
=====
Computed, not measured: a 9-piece molecular cluster, C36H86N4O9 overall at a distorted geometry, with wB97M-V/def2-TZVPD.

The geometry in ORCA input format:
```
! wB97M-V def2-TZVPD RIJCOSX def2/J DEFGRID3
* xyz 0 1
C -24.160 1.771 7.194
C -23.636 1.381 8.585
C -22.153 0.959 8.346
C -21.176 2.149 8.266
C -21.297 3.038 9.488
C -22.683 3.587 9.658
N -23.680 2.475 9.593
O -24.986 3.001 9.695
C -22.798 4.245 11.037
C -23.053 4.671 8.625
C -24.331 0.202 9.250
H -24.337 0.897 6.559
H -23.413 2.329 6.630
H -25.119 2.288 7.225
H -21.773 0.238 9.072
H -22.087 0.479 7.368
H -21.368 2.768 7.384
H -20.137 1.843 8.127
H -20.512 3.802 9.459
H -20.922 2.505 10.374
H -23.759 4.721 11.227
H -22.512 3.603 11.870
H -22.073 5.067 11.015
H -23.203 4.161 7.674
H -23.903 5.284 8.902
H -22.206 5.342 8.450
H -23.884 -0.097 10.193
H -24.186 -0.697 8.634
H -25.411 0.322 9.330
H -25.301 2.676 10.550
C -28.401 5.101 14.170
C -27.017 4.922 13.492
C -26.363 6.304 13.420
C -25.840 6.810 14.746
C -24.750 5.864 15.189
C -25.265 4.399 15.307
N -26.135 3.994 14.200
O -26.750 2.753 14.424
C -24.013 3.534 15.299
C -25.950 4.269 16.694
C -27.254 4.450 12.065
H -28.685 4.263 14.818
H -29.253 5.183 13.497
H -28.403 5.930 14.883
H -25.583 6.314 12.650
H -27.083 7.023 13.012
H -26.556 6.837 15.572
H -25.435 7.817 14.620
H -24.454 6.259 16.162
H -23.954 5.803 14.442
H -23.239 3.832 16.001
H -24.300 2.500 15.528
H -23.636 3.415 14.280
H -25.444 4.669 17.570
H -27.009 4.532 16.616
H -25.991 3.201 16.954
H -27.790 3.501 12.013
H -26.298 4.362 11.543
H -27.868 5.154 11.500
H -27.328 2.877 15.198
C -25.099 0.246 16.990
C -25.790 -0.938 17.761
C -24.775 -1.550 18.709
C -24.506 -0.716 19.963
C -25.843 -0.469 20.662
C -26.903 0.224 19.759
N -26.976 -0.529 18.492
O -27.927 0.026 17.586
C -28.247 0.093 20.462
C -26.471 1.688 19.555
C -26.108 -1.938 16.646
H -24.453 -0.150 16.198
H -24.339 0.706 17.628
H -25.838 0.896 16.528
H -25.012 -2.585 18.987
H -23.807 -1.719 18.223
H -23.976 0.191 19.670
H -23.822 -1.307 20.574
H -25.604 0.265 21.437
H -26.256 -1.410 21.021
H -28.563 -0.941 20.604
H -28.210 0.619 21.417
H -29.050 0.535 19.865
H -27.080 2.163 18.781
H -26.619 2.221 20.493
H -25.475 1.675 19.120
H -26.520 -1.483 15.746
H -26.838 -2.714 16.904
H -25.168 -2.437 16.409
H -28.653 -0.599 17.682
C -21.358 1.753 20.726
C -20.720 1.827 19.292
C -19.687 2.984 19.322
C -18.356 2.659 19.992
C -17.790 1.394 19.354
C -18.767 0.176 19.441
N -20.072 0.588 18.846
O -20.934 -0.520 18.914
C -18.167 -0.892 18.525
C -18.925 -0.300 20.874
C -21.778 2.270 18.291
H -21.671 0.725 20.924
H -22.267 2.356 20.682
H -20.705 2.052 21.541
H -19.567 3.326 18.290
H -20.144 3.790 19.902
H -18.580 2.473 21.047
H -17.644 3.482 19.940
H -16.882 1.121 19.891
H -17.727 1.537 18.274
H -17.081 -0.767 18.510
H -18.355 -1.913 18.865
H -18.485 -0.854 17.483
H -19.573 -1.167 20.981
H -17.940 -0.552 21.288
H -19.244 0.502 21.535
H -22.622 1.577 18.378
H -21.383 2.188 17.279
H -22.110 3.283 18.509
H -21.204 -0.685 17.984
O -21.938 -1.468 16.517
H -21.698 -2.392 16.379
H -22.013 -1.100 15.623
O -21.984 1.179 14.852
H -22.195 1.593 14.008
H -22.847 0.951 15.223
O -23.431 -1.232 13.804
H -22.963 -0.538 13.312
H -23.899 -1.739 13.132
O -22.599 1.025 12.033
H -21.731 0.610 11.922
H -22.711 1.584 11.231
O -19.301 1.077 15.921
H -19.425 1.231 16.873
H -20.186 1.208 15.549
*
```

Computed properties:
LUMO (eV): 0.31
Gap between HOMO and LUMO (Ha): 0.3074
Structure (SMILES): CC1(C)CCCC(C)(C)N1O.CC1(C)CCCC(C)(C)N1O.CC1(C)CCCC(C)(C)N1O.CC1(C)CCCC(C)(C)N1O.O.O.O.O.O
HOMO energy (eV): -8.053

---

Computed, not measured: C36H90F2NO28P6S2V as an isolated structure at a distorted geometry, with wB97M-V/def2-TZVPD.

The geometry in ORCA input format:
```
! wB97M-V def2-TZVPD RIJCOSX def2/J DEFGRID3
* xyz 2 3
V 0.513 0.167 -1.556
N -0.315 -0.389 0.176
S -0.909 0.292 1.526
O -0.229 -0.022 2.728
O -2.311 0.512 1.554
F -0.411 1.789 1.269
S -0.706 -1.995 0.579
O -2.086 -2.191 0.794
O 0.270 -2.659 1.352
F -0.469 -2.559 -0.863
=====
**Solution**
Computed, not measured: a 9-piece molecular cluster, C36H86N4O9 overall at a distorted geometry, with wB97M-V/def2-TZVPD.

The geometry in ORCA input format:
```
! wB97M-V def2-TZVPD RIJCOSX def2/J DEFGRID3
* xyz 0 1
C -24.160 1.771 7.194
C -23.636 1.381 8.585
C -22.153 0.959 8.346
C -21.176 2.149 8.266
C -21.297 3.038 9.488
C -22.683 3.587 9.658
N -23.680 2.475 9.593
O -24.986 3.001 9.695
C -22.798 4.245 11.037
C -23.053 4.671 8.625
C -24.331 0.202 9.250
H -24.337 0.897 6.559
H -23.413 2.329 6.630
H -25.119 2.288 7.225
H -21.773 0.238 9.072
H -22.087 0.479 7.368
H -21.368 2.768 7.384
H -20.137 1.843 8.127
H -20.512 3.802 9.459
H -20.922 2.505 10.374
H -23.759 4.721 11.227
H -22.512 3.603 11.870
H -22.073 5.067 11.015
H -23.203 4.161 7.674
H -23.903 5.284 8.902
H -22.206 5.342 8.450
H -23.884 -0.097 10.193
H -24.186 -0.697 8.634
H -25.411 0.322 9.330
H -25.301 2.676 10.550
C -28.401 5.101 14.170
C -27.017 4.922 13.492
C -26.363 6.304 13.420
C -25.840 6.810 14.746
C -24.750 5.864 15.189
C -25.265 4.399 15.307
N -26.135 3.994 14.200
O -26.750 2.753 14.424
C -24.013 3.534 15.299
C -25.950 4.269 16.694
C -27.254 4.450 12.065
H -28.685 4.263 14.818
H -29.253 5.183 13.497
H -28.403 5.930 14.883
H -25.583 6.314 12.650
H -27.083 7.023 13.012
H -26.556 6.837 15.572
H -25.435 7.817 14.620
H -24.454 6.259 16.162
H -23.954 5.803 14.442
H -23.239 3.832 16.001
H -24.300 2.500 15.528
H -23.636 3.415 14.280
H -25.444 4.669 17.570
H -27.009 4.532 16.616
H -25.991 3.201 16.954
H -27.790 3.501 12.013
H -26.298 4.362 11.543
H -27.868 5.154 11.500
H -27.328 2.877 15.198
C -25.099 0.246 16.990
C -25.790 -0.938 17.761
C -24.775 -1.550 18.709
C -24.506 -0.716 19.963
C -25.843 -0.469 20.662
C -26.903 0.224 19.759
N -26.976 -0.529 18.492
O -27.927 0.026 17.586
C -28.247 0.093 20.462
C -26.471 1.688 19.555
C -26.108 -1.938 16.646
H -24.453 -0.150 16.198
H -24.339 0.706 17.628
H -25.838 0.896 16.528
H -25.012 -2.585 18.987
H -23.807 -1.719 18.223
H -23.976 0.191 19.670
H -23.822 -1.307 20.574
H -25.604 0.265 21.437
H -26.256 -1.410 21.021
H -28.563 -0.941 20.604
H -28.210 0.619 21.417
H -29.050 0.535 19.865
H -27.080 2.163 18.781
H -26.619 2.221 20.493
H -25.475 1.675 19.120
H -26.520 -1.483 15.746
H -26.838 -2.714 16.904
H -25.168 -2.437 16.409
H -28.653 -0.599 17.682
C -21.358 1.753 20.726
C -20.720 1.827 19.292
C -19.687 2.984 19.322
C -18.356 2.659 19.992
C -17.790 1.394 19.354
C -18.767 0.176 19.441
N -20.072 0.588 18.846
O -20.934 -0.520 18.914
C -18.167 -0.892 18.525